ITT: Post your favourite Fascist/Extreme right-wing America flags
Greater Nazi Reich (American) Flag from Man in the High Castle was aesthetic.
3 stars, why?
God, Government and Guns.
It seems a bit generic. In all truth, I'm trying to create an alternate history where US becomes a Euro democracy (20+ parties in congress), so a right wing Nazi party sweeps the elections for a super majority and forms a modern day Nazi America, nothing to do with Hitler or WW2.
>That disgusting commie star
This flag is based off of old Prussia
American Union State flag from Kaiserreich.
i want to live in that world
What's Kaiserreich? A game?
It's not perfect. Half of America is owned by Japan.
Yeah, it's an ultra popular mod for a game called Darkest Hour. Probably the most popular grand strategy mod ever (grand strategy being Europa Universalis, Victoria 2, etc type games)
Life, liberty, pursuit of happiness
This is probably the best one so far. Only thing that would have made it better if the Laurel and eagle was in gold. Shouldn't be too hard to fill that in, however.
I like these
These are decent too but not as good
What do the words say? Also the flag reminds me of the fascist party in V for Vendetta.
They were based, V is just a cuck
>It seems a bit generic
It is in itself. But if you take it context, Nazi Germany was trying to assimilate the United States into its empire, so retaining a large portion of the country's original flag was a clever tactic. "You know who you were, and you know who you are now." is the vibe I get form it.
>Half of America is owned by Japan.
It's more like 1/4. Germany has a solid grip on the entire eastern seaboard and most of the Midwest. The Rocky Mountain region is the Neutral Zone and Japan basically just gets California, Nevada, Orgon, Washington and Utah.
p-pls rate muh flag
Ancap Dixie shall rise again
I like these
Needs more color. Not sure what tho
Hahaha, I can dig it
I think the one I posted in OP would be perfect if it was actually the same design as the original American flag. As in, the blue field is in the corner, not half and half.
I'm familiar with the backstory with that show, but I'm yet to actually watch it.
Do the American Nazis promote American nationalism? Without spoilers pls
I'll post another less 'Muricanized NAP one in a minute. Here's a request I did for some ''''''national capitalist''''''... I figure it works for America.
This one seems kind of degenerate. However what it is for is fitting
Agreed, but it was a request. Besides, it communicates the message better than a yellow flag with a black dollar sign in a white medallion.
>tfw living the pozzed multicultural jewish america timeline
This should be like an elite military units flag or a large government entity
>ripping off a defunct neo-Nazi party's flag
>that fuckawful flag texture
>no connection to the American flag
It's shit.
I actually had no idea this flag existed when I made mine, but someone has told me about the resemblance before (maybe it was you). I chose a seven-pointed star fort to demonstrate the defensive nature of negative rights, then I put "NAP" in a Fiat-style typeface because it looked more modern. Personally, I think the rattlesnake saltire looks absolutely badass, and I used a diamond on the simple flag to represent the diamondback.
Just replace our flag with the lgbt version already man. We're already there in some places. Just fuck my shit up.
>tfw Canada will be forever known as an immigrant dumping zone and a degenerate safe space
But at least I got my Tim Hortons haha yes
I really like this flag
Everything in that show seemed fucking amazing. Assuming this is High Castle of course
>the horrific alternate reality of Nazi occupied, white only America will shock you!
Every day I wonder how whites became this brainwashed
Looks like Cuba...What's they symbolism behind it?
Is that a commercial space jet taking over?
Why couldn't this happen...
personally, I think pic related has a lot of potential, though it has Arabic characters on it.
(ع ا ع (عدم الاعتداء
ع)دم)- lack of, non-
ال(اع)تداء- agression, transgression
but nazis
I'll take Nazis over the slow boil that is ((postnational)) Canada. At least Nazis would have a semblance of respect for our history and heritage.
>Do the American Nazis promote American nationalism?
Yes. One of the main characters has a son in the Boys Souts (which is renamed and basically become the Hitler Youth.) They show them doing the pledge of allegiance in Middle School which is now a pledge of loyalty of Hitler and the nation. It's very clear, especially among the youth, how highly they view the State. It's subtle at first, but you come to realize how many average Americans have taken to Nationalism via Nazi Germany's influence. Many of the youth strive to become productive members of society because the highest form of self worth is being a productive member of society to benefit the nation. Granted the show takes place in the 1960s, so this is 20 years after the war ended.
Honestly, the only thing that I might disagree with in living in that society was the hypothetical take on extreme Eugenics.
>if you have a physical or genetic disability you are exterminated
Though that was present in Nazi Germany in our timeline, I don't think it would have become a true focal point of the future. That said I would still choose to live there if I could.
I don't know the symbolism but that is the British Union of Fascists flag. "The British Union of Fascists was strongly anti-communist and argued for a programme of economic revival based on government spending and protectionism."
>Why couldn't this happen...
Because the US and Russia captured or killed most of the brightest German scientists and had them build weapons instead of using their genius to build a better world.
Fuck off leaf get your own Fascist flag. America and the Constitution forever.
>all the fringe authoritarian left wig NEETsocs posting their larping flags
Pic related, an actual right wing flag
>Gadsden Flag
That is neither fascist nor extremist.
What about black people? America is now a white ethnostate? No gibs for Mtumbo and Tyrone?
********
# 1
Entry from the Open Molecules 2025 dataset: 7 unconnected molecules or ions with the total composition C34H75N6O6 (ωB97M-V with the def2-TZVPD basis set).

Computed properties:
- Charge: +1
- Energy above the lowest of the compared OMol25 structures with the same formula, charge and spin: 0.0 kJ/mol
- E_HOMO: -7.78 eV
- LUMO: -2.21 eV

Element x y z (Å)
O (-1.05, 2.27, 4.57)
O (0.36, 0.15, -0.40)
O (9.22, 2.08, -1.72)
O (0.91, 0.97, 1.43)
O (4.26, 0.04, -2.21)
O (-0.34, 2.60, 9.65)
N (2.81, -2.82, 1.75)
N (-1.98, -1.68, -5.43)
N (-1.04, 0.83, 7.21)
N (6.15, 2.31, -2.25)
N (-1.24, 3.25, -1.55)
N (-5.11, -2.27, -0.04)
C (-1.34, -0.09, 1.28)
C (-1.01, 2.14, -2.31)
C (-7.13, -1.20, -1.09)
C (5.49, -0.02, -3.00)
C (0.09, -2.78, -6.17)
C (-1.63, 2.07, 9.35)
C (-2.32, 0.89, 6.20)
C (-1.56, 0.65, 8.66)
C (0.06, 0.36, 0.75)
C (-1.11, -1.69, -3.07)
C (-0.40, 2.60, -3.49)
C (-5.16, -1.57, 1.20)
C (-6.10, -2.07, 2.31)
C (-0.26, 3.99, -3.41)
C (-6.46, -2.47, -0.65)
C (3.25, -2.08, 0.72)
C (4.27, -2.67, 0.04)
C (8.66, 3.18, -2.46)
C (7.25, 3.40, -1.87)
C (-2.12, -1.15, -4.09)
C (-0.83, 4.38, -2.18)
C (10.42, 2.27, -1.11)
C (-0.70, -1.40, -6.06)
C (-4.23, -3.39, 0.03)
C (-3.79, -3.85, -1.40)
C (4.36, -3.94, 0.69)
C (6.54, 0.84, -2.39)
C (3.49, -4.01, 1.73)
C (3.19, -0.75, -2.76)
C (-0.40, 3.73, 10.55)
C (-1.79, 3.49, 4.69)
C (-3.18, -1.99, -7.57)
C (-3.06, -1.17, -6.26)
C (-1.82, 1.08, 4.69)
H (-4.03, -1.51, -8.07)
H (-2.79, -4.27, -1.39)
H (11.25, 2.63, -1.72)
H (3.23, -4.80, 2.41)
H (-2.63, 1.05, 3.96)
H (-3.97, -1.30, -5.68)
H (2.25, -0.45, -2.30)
H (-0.10, -1.38, -3.34)
H (-2.83, 1.77, 6.59)
H (-7.10, -1.65, 2.31)
H (-5.73, -1.83, 3.31)
H (4.84, -2.22, -0.76)
H (-1.32, 1.17, -1.95)
H (-3.68, -3.07, -2.15)
H (-4.17, -1.62, 1.64)
H (3.34, -1.82, -2.59)
H (-8.14, -1.29, -1.48)
H (-1.21, -2.73, -2.77)
H (-0.39, 0.07, 7.01)
H (-2.24, 3.71, 3.73)
H (-2.10, -0.06, -4.15)
H (-3.38, -3.20, 0.68)
H (6.89, 4.38, -2.16)
H (1.13, -2.54, -6.35)
H (7.33, 3.33, -0.79)
H (-0.20, -3.45, -6.98)
H (-2.28, 2.77, 8.82)
H (-2.97, 0.04, 6.41)
H (-1.68, 0.66, 2.00)
H (9.24, 4.09, -2.34)
H (-1.41, -1.31, -2.09)
H (7.34, 0.63, -3.10)
H (0.20, 4.64, -4.14)
H (-2.48, 0.07, 8.64)
H (-1.98, 1.94, 10.37)
H (-6.28, -3.15, 2.29)
H (2.86, -1.08, 0.65)
H (5.71, 2.55, -3.13)
H (-0.13, 1.90, -4.26)
H (-1.16, 0.28, 4.38)
H (-3.06, -1.37, -3.60)
H (10.41, 2.77, -0.15)
H (0.07, -3.39, -5.27)
H (5.75, -1.08, -2.96)
H (-1.14, 4.35, 4.89)
H (10.59, 1.22, -0.88)
H (-2.08, -0.05, 0.48)
H (-6.67, -0.88, -2.03)
H (0.54, 3.69, 11.09)
H (-4.79, -4.23, 0.47)
H (3.20, -0.62, -3.84)
H (-1.21, -0.96, 1.92)
H (2.15, -2.63, 2.50)
H (-0.94, 5.39, -1.83)
H (-1.56, 3.22, -0.59)
H (-3.57, -3.00, -7.42)
H (-1.20, 3.65, 11.29)
H (-4.49, -4.57, -1.83)
H (6.92, 0.56, -1.41)
H (-0.56, 4.70, 10.07)
H (-0.78, -0.85, -7.00)
H (-3.02, -0.10, -6.45)
H (-2.38, -2.10, -8.29)
H (-2.60, 3.45, 5.41)
H (-7.07, -0.47, -0.28)
H (5.34, 0.26, -4.04)
H (8.75, 3.06, -3.54)
H (-0.56, 1.72, 7.24)
H (-6.25, -3.01, -1.58)
********
While probably not fascist, i still like it. It ain't mine though.
I'm a big fan of American Vanguard's flag
>What about black people?
There was mention of the Native Americans, Jews, mentally ill and those with genetic defects being sent to concentration camps but I don't recall if blacks were sent there as well. There were no blacks in the Greater American Reich, though they lived in the Neutral Zone (which has no real law and order) and in the Japanese controlled parts of former America.
>it was mentioned that the Japanese were less stringent in their removal of "undesirable people" as Germany
But to answer your question, no there wasn't a "gimme dat" welfare system. The Government did provide stipends for clothing and other things considered essential for keeping a proper society. But the notion was, "you earn your keep". Leeches on society were not tolerated and considered to be the worst possible scum of the earth in the mind of the average citizen.
Haha, this is weird. It's a show about Nazi's controlling America, but other than the fact that there is tension with Japan and Germany, what's really so bad about it? It's fucking heaven on Earth.
No, for real, is there anything wrong with it?
>other than the fact that there is tension with Japan and Germany, what's really so bad about it?
That's basically it. Take away that plot device and it doesn't seem so bad. You can even apply for visas to move from wherever you are in the world to the Greater American Reich if you can pass an ethnicity/IQ test. Ironically there was a family from Argentina in line to take the test with one of the main characters, but we never found out if they passed.
┌──
# 1
The following is a quantum chemistry calculation of C53H45N6O2Sn as an isolated structure in a non-equilibrium geometry, from the OMol25 dataset.

Geometry as ORCA input:
```
! wB97M-V def2-TZVPD RIJCOSX def2/J DEFGRID3
* xyz 1 1
H -3.07 -5.76 -1.34
H 2.92 -0.02 -3.64
C 2.69 1.16 2.14
N -0.47 2.94 -2.41
Sn -0.90 0.12 -0.54
H -3.09 -3.15 4.36
H -3.86 -0.27 -2.00
C -0.55 4.96 0.80
C -2.13 -5.58 -0.83
C -1.78 -2.81 2.70
C 1.75 3.81 -2.09
C -1.18 6.19 0.58
H 3.31 -4.30 -5.50
H 3.02 2.06 2.63
C 1.73 -1.06 0.88
H -1.54 0.78 6.52
C -0.60 -4.05 0.24
H 1.84 -3.13 0.46
C 3.43 0.00 2.20
C -0.94 1.96 2.88
H -3.44 1.90 -2.40
N -1.85 -0.71 -2.37
C 2.32 -4.41 -5.06
H -3.16 3.24 2.05
C -0.11 -6.42 0.14
C 0.29 -3.09 4.51
C 1.43 1.41 -2.06
H 1.13 -4.99 1.12
H 3.13 0.33 -1.36
C -1.80 -4.30 -0.42
C 0.56 -2.87 3.16
C -2.52 6.35 0.88
C -1.29 -6.65 -0.56
C 3.57 2.41 -1.47
C 1.89 -3.14 -4.37
N 1.06 0.10 0.76
H 3.93 5.48 -2.59
C -0.26 -2.64 0.73
H 3.47 -2.07 1.61
H 0.55 -7.24 0.39
H -1.23 -3.39 5.99
C -0.66 2.28 5.26
O -1.35 1.75 0.46
C -0.67 2.48 1.48
H 1.36 4.81 -2.24
C -3.23 5.28 1.41
C -1.85 0.37 4.44
H 1.11 -2.18 -0.82
H 1.31 3.24 1.83
H -4.31 -2.86 -2.69
H -1.84 -3.85 -3.18
H -0.61 7.02 0.18
O -1.17 -1.71 0.15
H -2.41 -0.54 4.62
C -0.46 2.70 3.96
C -0.47 -2.72 2.25
N -1.36 1.94 -2.31
C -2.45 3.89 -2.63
C 0.17 -1.90 -3.17
H 0.96 2.80 0.16
H 1.10 -3.21 5.21
C 3.09 3.68 -1.75
C 3.97 4.90 -1.66
H -3.01 7.29 0.70
C 2.72 -2.03 -4.28
H -2.47 -3.47 -0.60
C -2.06 -3.06 4.03
H -4.28 5.40 1.66
C -3.37 -2.34 -2.66
H -0.57 5.06 -2.73
H -3.24 4.60 -2.77
H -2.02 0.20 2.31
H 3.64 5.56 -0.86
H 1.62 -4.69 -5.84
C 2.94 -1.13 1.56
C 0.83 2.49 1.20
C -2.60 4.07 1.64
N -1.22 -1.86 -2.76
C 2.30 -0.90 -3.62
H 0.06 3.64 3.78
H -0.28 2.87 6.09
H -2.59 -2.72 1.98
C 1.52 1.19 1.39
C 2.76 1.31 -1.63
C 0.91 2.71 -2.20
C 1.05 -0.82 -2.96
C -1.02 -3.20 4.95
C -2.56 2.51 -2.43
H 3.69 -2.04 -4.76
N 0.61 0.29 -2.30
C -1.37 1.11 5.50
C -3.15 -1.02 -2.30
H 2.35 -5.24 -4.35
C 1.17 -2.30 0.27
C 0.61 -3.03 -3.85
H 1.60 -2.84 2.85
C 0.22 -5.13 0.54
H 4.59 2.28 -1.11
C -2.12 -2.85 -2.92
H -0.07 -3.85 -4.03
H 4.36 -0.04 2.75
C -1.26 3.89 1.33
H 0.50 4.87 0.56
H 5.01 4.63 -1.47
C -1.63 0.79 3.13
C -1.10 4.13 -2.61
H -1.55 -7.65 -0.87
*
```

Calculated values
- LUMO energy (eV) = -3.1851
- frontier orbital gap (eV) = 6.39
- highest occupied orbital energy (eV) = -9.6
- relative energy (zero: lowest compared OMol25 entry of this formula, charge and spin) (kJ/mol) = 0.0


# 2
The following is a quantum chemistry calculation of one molecule with the formula C4H8N2OS in a non-equilibrium geometry, from the OMol25 dataset.

Geometry as ORCA input:
```
! wB97M-V def2-TZVPD RIJCOSX def2/J DEFGRID3
* xyz 0 1
C 3.06 0.51 0.24
H -1.03 -0.70 -2.53
H -2.92 0.03 1.42
H -3.37 -0.30 -1.28
O 2.62 -0.71 -0.29
S 0.22 0.13 -0.22
H 4.06 0.74 -0.03
C -2.09 0.31 0.65
H -0.99 -1.32 1.30
H 2.34 1.33 0.12
C -1.25 -0.37 -1.54
N -0.87 -0.30 1.09
N 1.26 -1.02 -0.20
H -1.91 1.44 0.70
H 3.19 0.36 1.41
C -2.32 -0.11 -0.82
*
```
└──
>we STILL don't know if Argentina is white lol
I would honestly be very surprised if Americans accepted a political platform called, "Fascism". You'd have to call it something nice and sweet like, "Patriotism", or "The NFL (National Fascist League but never call it that)". Still would be nice.
Its not as far fetched as you may think. This picture was taken in Chicago in 1932.
It's dumb because the Japanese never intended on annexing North America after an Axis Victory. They did, however, want total dominance of the Pacific Ocean. Germany never would have set foot on North America either. An German victory would have likely meant the German annexation of most of Eastern Europe, and subsequent small wars of conquest all the way to the urals and beyond thereafter.
Western-Europe would be united in some kind of alliance like NATO, but not Zionist and ardently pro-Aryan/Celto-Germanic. The USA's government would be toppled after the military defeat by fascist klanner types, uniting America with Europe/Germany's politics.
If fascist A.I. robots had a flag for the mechanized master race.
Who ever made this took a few awesome flags and somehow combined them to make them look gay as fuck.
>Lincoln Rockwell Airport
I love how this show got the little details so right in ways that a lot of normies won't recognize.
But Lincoln Rockwell was actually fighting for the Americans in WW2...He wouldn't have founded the Nazi party after the war because...well...they were already in America.
blacks were barely even persecuted in the real nazi germany
Because that'd be like finding a unicorn...Europe was literally 99.9% white back then. No niggers.
I'm fairly certain Hitler described hatred and disgust with blacks, but he was more focused on Slavs, Roma and Jews at the time.
Marine Corp flag
Airforce flag
He was a smart dude, he would switch sides as soon as the jews and commies were exposed or even before that.
>God, Government and Guns.
God, welfare programs, and Guns.
there were something like 50000 blacks living in nazi germany
In 1939, Germany had a population of almost 70 million.
[Quantum chemistry results from another source follow]
-- begin --
Formula: C4H6Br2O
Source: the Open Molecules 2025 dataset
Level of theory: ωB97M-V/def2-TZVPD

Structure (XYZ):
```
13
Properties=species:S:1:pos:R:3:forces:R:3
C 0.170 0.010 -1.117 -0.14 -0.17 -1.77
C 0.090 -0.240 1.972 0.88 -0.91 -4.69
C -0.520 -1.218 -1.809 3.42 0.98 0.81
C 0.986 0.833 1.953 2.85 0.58 2.04
O -0.602 -0.846 2.641 -2.56 -1.78 3.56
Br -0.784 1.683 -1.195 0.51 -0.81 0.09
Br 2.104 0.161 -1.401 -1.30 -0.15 0.17
H -1.524 -1.026 -2.036 -1.44 0.06 -0.03
H -0.296 -2.045 -1.145 -0.68 -0.32 0.37
H 0.055 -1.506 -2.703 -0.33 0.46 -0.05
H 0.446 1.701 1.681 -0.06 1.11 -0.44
H 1.952 0.642 1.476 -0.80 0.07 -1.23
H 1.420 0.875 2.946 -0.34 0.88 1.17
```
Forces are in eV/Å.

Properties
Spin multiplicity: 3
Frontier orbital gap (spin up / spin down) (eV): 6.66 / 9.73

Formula: C2H3Br2OP
Source: the Open Molecules 2025 dataset
Level of theory: ωB97M-V/def2-TZVPD

Structure (XYZ):
```
9
Properties=species:S:1:pos:R:3:forces:R:3
C 0.291 -0.579 -0.480 -0.52 3.03 -1.63
C -0.721 0.578 -0.281 -0.59 -2.88 3.28
O 2.036 -0.839 1.601 1.49 -4.00 5.11
P 1.786 0.091 0.568 -0.98 2.13 -5.84
Br -2.593 -0.020 -0.303 0.56 0.12 -0.20
Br -0.342 1.389 1.536 -1.15 0.30 0.17
H -0.266 -1.454 -0.250 0.50 -1.15 0.92
H 0.496 -0.587 -1.572 0.31 -0.15 0.68
H -0.686 1.421 -0.819 0.39 2.62 -2.49
```
Forces are in eV/Å.

Properties
Spin multiplicity: 3
Frontier orbital gap (spin up / spin down) (eV): 6.47 / 7.55

Formula: C20H29N5O2S
Source: the Open Molecules 2025 dataset
Level of theory: ωB97M-V/def2-TZVPD

Structure (XYZ):
```
57
Properties=species:S:1:pos:R:3:forces:R:3
C -5.055 -0.663 1.704 0.17 -0.08 0.04
H -4.877 0.377 1.445 -0.03 0.09 -0.02
C -3.853 -1.530 1.349 -0.16 0.01 -0.19
C -3.612 -1.639 -0.157 0.19 0.19 0.19
C -3.237 -0.327 -0.842 -0.75 -0.42 -0.22
N -1.956 0.202 -0.392 0.57 0.15 -0.06
C -1.857 1.467 0.070 -0.08 0.26 0.22
N -0.629 2.030 0.302 0.07 0.10 -0.02
C 0.581 1.845 -0.394 0.50 -0.06 -0.29
C 0.582 1.501 -1.741 0.07 0.25 0.03
C 1.782 1.296 -2.393 -0.13 0.01 0.00
C 2.974 1.474 -1.716 0.07 0.02 0.07
C 2.990 1.881 -0.388 0.01 -0.06 -0.18
C 1.783 2.057 0.291 -0.26 -0.07 0.01
C 1.753 2.516 1.722 0.04 -0.04 -0.12
H 2.643 2.203 2.260 0.06 0.01 0.08
H 0.877 2.130 2.241 -0.01 0.01 0.07
H 1.711 3.605 1.762 0.00 0.10 0.13
C 4.303 2.138 0.290 -0.07 -0.01 -0.03
H 4.462 1.449 1.119 0.06 -0.03 0.12
H 4.339 3.153 0.684 0.09 0.06 0.09
H 5.121 2.014 -0.414 0.08 0.00 -0.01
H 3.909 1.320 -2.233 0.12 0.00 -0.05
H 1.782 1.016 -3.435 -0.01 -0.04 -0.12
H -0.352 1.416 -2.274 -0.12 -0.07 -0.05
H -0.716 2.917 0.783 -0.16 -0.21 -0.08
S -3.170 2.364 0.559 -0.42 0.50 0.19
C -0.837 -0.657 -0.543 0.09 -0.18 0.16
C -0.048 -0.987 0.535 -0.60 -0.02 -0.27
N -0.338 -0.556 1.795 0.11 -0.19 -0.14
H 0.403 -0.477 2.468 0.00 0.01 0.01
H -1.077 0.123 1.873 0.06 0.01 0.05
N 1.033 -1.820 0.384 -0.02 0.04 0.14
C 1.405 -2.333 -0.850 -0.16 0.11 -0.09
O 2.387 -3.023 -0.992 0.30 -0.19 -0.05
N 0.566 -2.020 -1.878 -0.03 -0.15 -0.43
C -0.559 -1.198 -1.851 0.25 -0.10 0.51
O -1.181 -0.999 -2.874 -0.07 0.13 -0.22
-- stop --
>You've got mail